
Rocky’s Viewpoint

Rockys Viewpoint

A blog for people who treat their dogs better than family

leash reactive dog staring

Leash aggression or leash reactivity as it’s also called is a behavior problem where the dog acts aggressively on leash toward other dogs, other animals, and sometimes people. I am intimately familiar with leash reactivity because Yankee exhibits this behavior (as did Rocky). He is fine off leash with most dogs, but when out walking, if he spots another dog, he initially starts by lying down, but then as the other dog gets close to us, he lunges.

Eddie swimming in the pool

As we have often said, we use ozone to sanitize the water in our indoor pool. Why is that? Because chlorine is toxic, it’s a poison that kills things like e. coli and giardia. In a pool you need something to kill bacteria and other germs and chlorine is the most popular choice because it’s inexpensive. Unfortunately, because it’s toxic, it has actually been linked to serious health problems in humans because it absorbs quickly through the skin.

Category: Industry News, Safety

As the seasons change, so do the conditions your dog is exposed to when participating in outdoor activities. We’re now going into our hot season so we need to be aware of the heat and how well your dog can tolerate these temperatures. If you’re prepared for the environment and know your limits, then you reduce the risk of health problems and injury.

Category: Exercise, Safety

Recently, I was speaking with a friend about how many people often overlook pets in their estate planning. A friend of ours had just passed away and I wondered what would happen to her pets. Most likely, I figured, her daughter would take them. But that’s not always the case.

Category: Safety

I think we have all finally learned that inhaling second-hand smoke is just as bad as smoking.

The State of Colorado and Connecticut Departments of Public Health conducted studies and found that second hand smoke is greatly associated with nasal sinus cancer and linked to lung cancer in dogs. The incidence of nasal cavity tumors in dogs that were exposed to second-hand smoke was higher than dogs that lived in households with non-smoking members.

You may or may not know this, but we spent a year researching what type of sanitation system we wanted to use in our aqua therapy center. We instinctively knew chlorine was very bad, and never considered it. We briefly considered bromine, a chlorine substitute, but again, it has many of the same harmful effects as chlorine. Then we looked at salt, but felt it would be too drying to both our skin and to the dog’s skin.

If your dog is lost, what is the probability that he will be found and returned to you? Not sure – it depends on the circumstances.

Most of us have ID tags on our dog’s collar but it’s been my experience especially in my neighborhood that most dogs get out after having had a bath and have no collar on.

Category: Safety

In my neighborhood there are lots of people out daily walking their dogs. I live in a residential area where often cars cut through to get to nearby streets, sometime at excessive speeds. It’s obvious to most people then that anyone walking their dog needs to have the dog on leash to prevent a possible accident. There are other good reasons to keep a dog on leash, such as to keep him from getting into something you don’t want him to, or to keep him from chasing the neighborhood cat.

Unrelated to this text: crystal structures:
'''
Entry 1:
## PrCu2GePd2 (PBE-GGA)

Data for crystalline PrCu2GePd2 at its relaxed geometry.

The raw total energy is -4.805 eV/atom. For the formation energy, the calculation gives -143 meV/atom. The calculation puts the magnetic moment at 0.000 μB per atom. The calculation puts the calculated density at 7.9 g/cm3.

It has space group P4/mmm (No. 123), with a = 4.486 Å, b = 4.486 Å, c = 5.752 Å, α = 90.00°, β = 90.00° and γ = 90.00°. The asymmetric unit holds Pr at (0.000, 0.000, 0.000), Cu at (0.000, 0.500, 0.500), Ge at (0.000, 0.000, 0.500) and Pd at (0.500, 0.500, 0.241).



Entry 2:
## VRhS3 (PBE-GGA)

Data for crystalline VRhS3 at its relaxed geometry.

For the formation energy without anion corrections, the calculation gives 0.476 eV/atom. The raw total energy is -5.295 eV/atom. The calculation puts the magnetic moment at 0.220 μB per atom. The calculation puts the calculated density at 4.2 g/cm3.

It has space group Pm-3m (No. 221), with a = 4.609 Å, b = 4.609 Å, c = 4.609 Å, α = 90.00°, β = 90.00° and γ = 90.00°. The asymmetric unit holds V at (0.000, 0.000, 0.000), Rh at (0.500, 0.500, 0.500) and S at (0.000, 0.500, 0.500).



Entry 3:
## Li3LaTe3 (PBE-GGA)

Data for crystalline Li3LaTe3 at its relaxed geometry.

For the formation energy without anion corrections, the calculation gives -1.223 eV/atom. The raw total energy is -4.094 eV/atom. The calculation puts the magnetic moment at 0.000 μB per atom. The calculation puts the calculated density at 4.3 g/cm3.

It has space group R-3 (No. 148, hexagonal axes), with a = 8.0555 Å, b = 8.0555 Å, c = 22.4080 Å, α = 90.00°, β = 90.00° and γ = 120.00°. The asymmetric unit holds Li at (0.0054, 0.3187, 0.1225), La at (0.0000, 0.0000, 0.3341) and Te at (0.0029, 0.3521, 0.9157).



Entry 4:
## AcCeHg3 (PBE-GGA)

Data for crystalline AcCeHg3 at its relaxed geometry.

The raw total energy is -2.571 eV/atom. For the formation energy, the calculation gives -381 meV/atom. The calculation puts the magnetic moment at 0.267 μB per atom. The calculation puts the calculated density at 11.0 g/cm3.

It has space group Cmcm (No. 63), with a = 3.789 Å, b = 30.221 Å, c = 5.088 Å, α = 90.00°, β = 90.00° and γ = 90.00°. The asymmetric unit holds Ac at (0.000, 0.075, 0.250), Ce at (0.000, 0.211, 0.750), Hg at (0.000, 0.319, 0.750), Hg at (0.000, 0.377, 0.250) and Hg at (0.000, 0.476, 0.250).



Entry 5:
## NiTeOs2 (PBE-GGA)

Data for crystalline NiTeOs2 at its relaxed geometry.

For the formation energy without anion corrections, the calculation gives 0.660 eV/atom. The raw total energy is -7.185 eV/atom. The calculation puts the magnetic moment at 0.000 μB per atom. The calculation puts the calculated density at 15.7 g/cm3.

It has space group P4/mmm (No. 123), with a = 4.027 Å, b = 4.027 Å, c = 3.706 Å, α = 90.00°, β = 90.00° and γ = 90.00°. The asymmetric unit holds Ni at (0.000, 0.000, 0.000), Te at (0.500, 0.500, 0.000) and Os at (0.000, 0.500, 0.500).



Entry 6:
## Hf4MgSc2 (PBE-GGA)
'''

Category: Safety

Summer has officially arrived in Florida! We have months of hot, humid weather facing us before we can cool off outdoors again. Even though it’s hot we still need to exercise our dogs. They need it, despite the weather. So what can you do to ensure your dog still gets the exercise he needs during the summer months? Here are some suggestions.

Category: Exercise, Safety

A friend of ours was telling us a story about someone she knew who hired a canine massage practitioner to work on their dog. The dog was apparently older, had severe arthritis, didn’t want to move around, and the owner felt that massage would be a good way to help provide some pain relief so the dog would want to be more mobile.

Category: Massage, Safety